• Source:
=====
VASP calculation (PBE) on crystalline HoHSO5 at its relaxed geometry.

```
data_HoHSO5
_chemical_formula_sum 'Ho8 H8 S8 O40'
_cell_length_a 8.019
_cell_length_b 11.015
_cell_length_c 11.055
_cell_angle_alpha 90.00
_cell_angle_beta 132.39
_cell_angle_gamma 90.00
_symmetry_space_group_name_H-M 'P 1 21/c 1'
_symmetry_Int_Tables_number 14
loop_
_symmetry_equiv_pos_as_xyz
'x,y,z'
'-x,-y,-z'
'-x,y+1/2,-z+1/2'
'x,-y+1/2,z+1/2'
loop_
_atom_site_label
_atom_site_fract_x
_atom_site_fract_y
_atom_site_fract_z
Ho1 0.212 0.063 0.373
Ho2 0.279 0.575 0.591
H1 0.041 0.118 0.880
H2 0.456 0.587 0.144
S1 0.134 0.170 0.635
S2 0.410 0.691 0.366
O1 0.031 0.543 0.630
O2 0.047 0.594 0.901
O3 0.096 0.200 0.157
O4 0.124 0.171 0.496
O5 0.231 0.627 0.351
O6 0.319 0.738 0.205
O7 0.356 0.126 0.783
O8 0.406 0.104 0.072
O9 0.484 0.011 0.358
O10 0.495 0.706 0.981
```

Summary:
E   -6.722 eV/atom
Calculated formation energy   -2.545 eV per atom
Crystal system   monoclinic
Total magnetization   0.0 μB/f.u.


## CdMoO2 (GGA+U)

Data for CdMoO2 after structural relaxation.

Unit cell a=7.127 b=7.127 c=7.127 alpha=125.63 beta=125.63 gamma=80.50
Element x y z (fractional)
Mo  0.875  0.125  0.250
Mo  0.875  0.625  0.750
Mo  0.375  0.125  0.250
Mo  0.875  0.125  0.750
O  0.688  0.411  0.276
O  0.161  0.938  0.776
O  0.062  0.839  0.224
O  0.589  0.312  0.724
O  0.161  0.385  0.224
O  0.135  0.411  0.724
O  0.589  0.865  0.276
O  0.615  0.839  0.776
Cd  0.875  0.625  0.250
Cd  0.375  0.125  0.750
Cd  0.375  0.625  0.250
Cd  0.375  0.625  0.750

Output
Calculated formation energy: -1074 meV/atom
Space group: I4_1/amd (141)

## Mn7V5O16 (GGA+U)

Data for Mn7V5O16 after structural relaxation.

Unit cell a=5.902 b=12.174 c=10.594 alpha=90.01 beta=123.89 gamma=90.00
Element x y z (fractional)
Mn  0.507  0.751  0.507
Mn  0.875  0.125  0.875
Mn  0.125  0.875  0.125
Mn  0.493  0.249  0.493
Mn  0.507  0.749  0.007
Mn  0.125  0.625  0.625
Mn  0.875  0.375  0.375
Mn  0.121  0.370  0.121
Mn  0.500  0.000  0.500
Mn  0.500  0.500  0.000
Mn  0.121  0.130  0.621
Mn  0.879  0.630  0.879
Mn  0.493  0.251  0.993
Mn  0.879  0.870  0.379
V  0.505  0.122  0.246
V  0.987  0.122  0.246
V  0.495  0.622  0.254
V  0.505  0.378  0.746
V  0.013  0.878  0.754
V  0.500  0.500  0.500
V  0.013  0.622  0.254
V  0.500  0.000  0.000
V  0.987  0.378  0.746
V  0.495  0.878  0.754
O  0.287  0.123  0.014
O  0.260  0.623  0.486
O  0.248  0.014  0.248
O  0.752  0.732  0.252
O  0.291  0.623  0.025
O  0.291  0.877  0.525
O  0.266  0.503  0.266
O  0.240  0.377  0.975
O  0.248  0.232  0.248
O  0.760  0.877  0.525
O  0.259  0.739  0.259
O  0.734  0.497  0.734
O  0.752  0.768  0.752
O  0.752  0.986  0.752
O  0.741  0.261  0.741
O  0.259  0.761  0.759
O  0.287  0.377  0.514
O  0.760  0.623  0.025
O  0.734  0.003  0.234
O  0.741  0.239  0.241
O  0.740  0.123  0.014
O  0.266  0.997  0.766
O  0.740  0.377  0.514
O  0.248  0.486  0.748
O  0.709  0.377  0.975
O  0.260  0.877  0.986
O  0.752  0.514  0.252
O  0.709  0.123  0.475
O  0.248  0.268  0.748
O  0.713  0.877  0.986
O  0.713  0.623  0.486
O  0.240  0.123  0.475

Output
Calculated formation energy: -2249 meV/atom
Space group: Pnnm (58)

> calculated formation energy of number 1 (CdMoO2)?

-1074 meV/atom
=====

• Wanted:
It remains to return only the lines further above with the word "geometry" in them.

• Solution:
VASP calculation (PBE) on crystalline HoHSO5 at its relaxed geometry.